Project Closet Door brings LGBTQ+ community together

Project Closet Door was started out of necessity. It is an organization focused on bringing the LGBTQ+ community closer together, raising awareness and understanding. That’s something that few people had previously found a space for in Western North Carolina.
The founder of the organization, Brookelyn Emery, “always knew,” as she puts it. But growing up in a small, Christian, home-school setting, she felt nervous, anxious about the idea of “coming out” to her community and close friends. She remembers experiences that made her feel unsafe, nights lying in bed wondering if she would really burn in hell for who she was. Those are the type of very real thoughts and fears that leave many young LGBTQ+ community members with lasting trauma.
When Brookelyn finally felt comfortable coming out to her friends and leaders at school at age 17, she said the people around her were, to her surprise, accepting. “That’s OK, we knew,” one teacher told her.
-- Calculated crystals that have nothing to do with the article --
+++
First-principles (PBE) data for La5Ho5Th2 after structural relaxation, as listed in Alexandria via LeMat-Bulk.

The calculated formation energy is 0.041 eV/atom. The total energy comes out at -5.16 eV/atom.

It has space group P-1 (No. 2), with a = 6.2356 Å, b = 8.1118 Å, c = 8.9088 Å, α = 111.11°, β = 90.28° and γ = 104.95°. The asymmetric unit holds La at (0.0000, 0.0000, 0.0000), La at (0.0806, 0.7388, 0.5807), La at (0.2545, 0.2632, 0.7552), Ho at (0.3355, 0.9951, 0.3294), Ho at (0.4154, 0.7473, 0.9169), Ho at (0.5000, 0.5000, 0.5000) and Th at (0.1641, 0.5029, 0.1616).

=====

First-principles (PBE) data for LaHo8Th6 after structural relaxation, as listed in Alexandria via LeMat-Bulk.

The calculated formation energy is 0.158 eV/atom. The total energy comes out at -5.58 eV/atom.

It has space group R-3 (No. 148, hexagonal axes), with a = 8.8405 Å, b = 8.8405 Å, c = 21.3165 Å, α = 90.00°, β = 90.00° and γ = 120.00°. The asymmetric unit holds La at (0.0000, 0.0000, 0.0000), Ho at (0.0000, 0.0000, 0.4205), Ho at (0.0601, 0.8050, 0.1341) and Th at (0.0233, 0.2441, 0.7081).

=====

First-principles (PBE) data for La2Ho4Th after structural relaxation, as listed in Alexandria via LeMat-Bulk.

The calculated formation energy is 0.034 eV/atom. The total energy comes out at -5.05 eV/atom.

It has space group Cm (No. 8), with a = 6.2681 Å, b = 3.6071 Å, c = 20.4932 Å, α = 90.00°, β = 95.91° and γ = 90.00°. The asymmetric unit holds La at (0.0000, 0.0000, 0.0000), La at (0.0896, 0.0000, 0.2884), Ho at (0.2781, 0.0000, 0.8520), Ho at (0.3076, 0.5000, 0.4334), Ho at (0.3748, 0.0000, 0.1460), Ho at (0.3985, 0.5000, 0.7152) and Th at (0.1806, 0.0000, 0.5739).

=====

First-principles (PBE) data for La4Ho2Th3 after structural relaxation, as listed in Alexandria via LeMat-Bulk.

The calculated formation energy is 0.085 eV/atom. The total energy comes out at -5.60 eV/atom.

It has space group P3m1 (No. 156), with a = 3.5909 Å, b = 3.5909 Å, c = 27.4061 Å, α = 90.00°, β = 90.00° and γ = 120.00°. The asymmetric unit holds La at (0.0000, 0.0000, 0.0000), La at (0.0000, 0.0000, 0.2169), La at (0.3333, 0.6667, 0.3375), La at (0.3333, 0.6667, 0.5565), Ho at (0.0000, 0.0000, 0.6666), Ho at (0.0000, 0.0000, 0.8756), Th at (0.0000, 0.0000, 0.4461), Th at (0.3333, 0.6667, 0.1088) and Th at (0.3333, 0.6667, 0.7731).

=====

First-principles (PBE) data for La12Ho3Th after structural relaxation, as listed in Alexandria via LeMat-Bulk.

The calculated formation energy is 0.020 eV/atom. The total energy comes out at -5.00 eV/atom.

It has space group P4/mmm (No. 123), with a = 5.2058 Å, b = 5.2058 Å, c = 20.8118 Å, α = 90.00°, β = 90.00° and γ = 90.00°. The asymmetric unit holds La at (0.0000, 0.0000, 0.0000), La at (0.0000, 0.0000, 0.2473), La at (0.0000, 0.0000, 0.5000), La at (0.0000, 0.5000, 0.1248), La at (0.0000, 0.5000, 0.3779), Ho at (0.5000, 0.5000, 0.0000), Ho at (0.5000, 0.5000, 0.2486) and Th at (0.5000, 0.5000, 0.5000).

=====
+++
That wasn’t the end of her coming out journey though, as is true for many in the community. Brookelyn remembers feeling comfortable with herself and her partner at bars and clubs in Asheville and around close friends, but still trying to portray “straightness” as a form of protection in places she didn’t feel so comfortable. At work, in unfamiliar situations, in Waynesville. This sense of being “out” but not being comfortable in everyday society continued until she was 26 years old.
“Growing up and figuring out, maybe I'll just be who I am and live happy, that wasn’t until I was 26,” said Brookelyn. “I think a lot of that is where I come from with Project Closet Door. I don’t want anyone else to go through that, or feel like they’re not welcome or they don’t have a community, in a place they were born and raised, that they have to go somewhere else to seek that out.”
Forging that path in relative solitude was another reason for creating Project Closet Door. Because this area is not openly supportive of the LGBTQ+ rights, coming out can be a lonely venture made more daunting by the lack of connection between community members. The community is there — has always been there — but without a place to connect, opportunities for support are lost.
“My personal queer community has changed so much. Now it’s grown to where I have people that are like me, I have other lesbian friends, I know bisexuals, I know trans people, I know non-binary people, I know gay men, I know bi-men. It changed my world. And if it can do that for a young person, or even an older person, then that’s what we’re doing, that’s what we’re here for,” Brookelyn said. “Because I would have given anything for that sense of community.”
How it started
It’s no wonder that the impetus then for Project Closet Door came in the form of a friend.
“The idea had been there for a while, but Ashten (McKinney) was the definitive moment when I realized, OK, we need something welcoming here,” Brookelyn said.
She first met Ashten, a friend within the LGBTQ+ community that had recently moved to Waynesville, in February 2019.
“She was saying how when she first moved here she wasn’t sure if she was going to be able to find a community that was accepting, especially in such a small town, but was very surprised at how welcoming, especially in Waynesville, everybody was.”
Brookelyn knew she needed to create something that could offer resources, introduce people to the community, introduce people to allies and safe spaces.
When the idea for Project Closet Door turned to intention and necessity, the first person Brookelyn reached out to was Jesse-Lee Dunlap. Jesse-Lee worked for the North Carolina Harm Reduction Coalition, a statewide grassroots organization dedicated to the implementation of harm reduction interventions, public health strategies, drug policy transformation and justice reform in North Carolina and across the American South.
Brookelyn shared with Jesse-Lee the idea of doing social events, working with different businesses around town, inviting the community to come out, and in her words “showing people that it's not as bad in this town as many people think it is.”
Despite the fact that bad circumstances exist for LGBTQ+ in this area, they knew they could create a space to challenge that.
It was Jesse-Lee that pushed Brookelyn to put the first event together by April 28, 2019. Just 27 days after their initial meeting. And it was a success.
“A lot of business owners came, a lot of people within the community that I didn't even know were a part of the LGBTQ+ community,” Brookelyn said. “It opened the door to working with WNCAP (Western North Carolina AIDs Project) and learning about safer sex practices and being able to relay that information, working with harm reduction, and now working with DownHome and just branching out.”
The first event was held at Frog Level Brewing and Panacea Coffee House. Since then the organization has held events every other month.
Though quarantine has changed the process for putting together and holding events, the group still takes the time to share important resources. It has worked with Down Home NC on voter education, sharing seminars, educational resources, virtual drag shows to support the community, and more.
For the Christmas party in 2019, the group took donations for KARE house. Together with staff at KARE, the group decided to raise awareness and funds for several charities during the month of April, Child Abuse Awareness Month. The group had lined up businesses to be involved, bands to participate, all of which fell through when the Coronavirus pandemic hit.
But the pandemic brought about more change than anyone could have envisioned. As Black Lives Matter protests erupted following the murder of George Floyd, many within the local LGBTQ+ community got involved in protests against police brutality and institutional racism.
“The reason why I feel like it is important for the LGBTQ+ community to support the Black Lives Matter Movement is one, during the Stonewall Riots the Black Panthers came out and formed a line around the drag queens and others in the queer community to protect them from the police and their brutality. So just shaking hands with that, and returning the favor. But also, the LGBTQ+ community is all walks of life, all colors, all races. It’s not just white people or Black people or Latinos or Hispanics, it’s everyone. So living in a community that is surrounded by oppression, it’s important when other oppressed people need help, that you show up.”
That’s why the group’s current cover photo on Facebook is the quote from Marsha P. Johnson, an American gay liberation activist, “No pride for some of us without liberation for all of us.”
“Going to these protests, talking with people, meeting other organizations has really helped build a team that alleviates individual pressure,” said Brookelyn. “It’s a hard-won balance. If COVID wouldn’t have happened I would still be in the same position I was before, but coming out of quarantine and everybody being energized and excited to be involved in something has really changed the aspect of organizing.”
But COVID also fundamentally changed the way groups can organize, whether in support, protest or social engagement.
For Project Closet Door, Brookelyn said the goal is “basically just trying to keep the vibe there. Lots of social media posts, being more active with zoom meetings and other online resources.”
The work
“We need people in our community to see their allies, that they have support here. Because growing up, if I would have known that, I probably would have been more comfortable with myself and who I was, instead of trying to fit into a bot of what society tells me I should be,” said Brookelyn.
That’s the intent behind Project Closet Door. Especially, for those who are new to the community, just moved to town, or just came out.
“Whether they are 12 years old or 65 years old, knowing that there is a support system. And even for those who aren’t ready to be ‘out and proud,’ they know that there’s a place for resources, a sense of community,” Brookelyn said.
She takes the time to make the work as personal as it needs to be. Anyone can send the Project Closet Door an email or direct message and Brooklyn will personally answer them. She sets up times to meet with anyone wanting to talk or learn more.
“I take the time to introduce them to the community in a comfortable way. Without being like ‘oh you should just come out, you should tell your parents, you should tell your spouse … whatever everyone thinks you should do.’ Because it’s in your own time.”
Reaching out to the young community has proven complicated.
“It’s hard to get involved in the schools around here, to offer them those resources, you have to have an in,” she said.
Brookelyn hopes that someday soon, guidance counselors and other staff already in place in schools will have access to resources at Project Closet Door, so they can offer those resources to students that need them.
“If a child is like, ‘I don’t feel right, this doesn’t feel right. All my friends are dating boys and I’m just not into it, it makes me uncomfortable.’ Having someone in place for them to talk to, that is a neutral party, that’s not going to call their parents as a first resort would be so valuable.”
There are a few current school board candidates Brookelyn is excited about. She feels like having a person on the school board that is a definitive ally could provide an opportunity to get involved with the school community and get things started.
“It’s 2020 and these kids should not have to hide themselves,” Brookelyn said. “Terrifying the youth out of being who they are, you’re creating trauma, and trauma leads to addictions. A lot of people within the queer community are addicts, alcoholics and struggle with those things. So really, instead of allowing someone to be who they are, you’re creating this other set of problems.”
That is why Brookelyn was insistent on partnering with the Harm Reduction community from the start, to be able to have conversations about the very real effects of trauma she sees within the community.
Situation today
Months into the pandemic, with a national election around the corner, things are beginning to feel dire for everyone. The death of Supreme Court Justice Ruth Bader Ginsburg only exacerbated the already tense environment.
“With this new nomination? I’m scared,” Brookelyn said. “I’m scared for my community. I’m scared as a woman. I’m scared for my trans friends. And I’m not OK with it. Vote.”
For the LGBTQ+ community the legal views of convservative judges are not simply disagreeable, they directly influence its social and economic capabilities through the rights of marriage, healthcare, workplace descrimination etc.
“Let me tell you, I’m a big ‘f*ck the man’ person. I don’t need a piece of paper to tell me I’m with this person. But when they said I could get married? I didn’t realize how it felt to have that right. I never wanted to get married before but now that I have the right to? It was a big realization of woah, I didn’t even have that right. Why?”
Getting involved
“I think it’s important for people to have that transparency,” Brookelyn said.
Project Closet Door aims to improve transparency. Brookelyn encourages people to get comfortable in uncomfortable situations, ask questions when there is something you don’t understand and normalize asking for someone's preferred pronouns. Asking for pronouns is one simple way to not only better understand the person you are interacting with, but also to demonstrate support and understanding.
“What’s your preferred pronoun? Most of the time for someone in the LGTBQ+ community, that makes them comfortable. ‘Oh they asked for my pronouns, they’re accepting,’” said Brookelyn. “Stand up for your LGBTQ+ community. When you hear someone using a derogatory term, stop them. I always try to explain to people, it’s more than just not being racist, you have to anti-racist. It’s more than just not being homophobic, you have to be anti-homophobic.”
Brooklyn finds inspiration and confidence in the younger generation. Young people are relentless and stubborn, she said, and she looks up to them for their acceptance and insistence on creating a more accepting world.
Project Closet Door is a grassroots organization based in Waynesville, NC. It is co-hosting the upcoming Winter Market with Down Home NC, from 3 to 7 p.m. on Nov. 1 in Haywood Plaza. The group will also begin taking donations for their Christmas raffle basket on Nov. 1.